-- Input --
........
[1]
29
Properties=species:S:1:pos:R:3:forces:R:3 method="wB97M-V/def2-TZVPD" de_lowest_kj_mol=127.1 charge=+1 s2=6.022 gap_ev="8.30 / 8.69" total_energy_ev=-143821.589 largest_force_ha_per_bohr=0.07506 spin_multiplicity=5
Co 0.079565 0.017546 0.642137 0.0 0.0 0.4
O -5.858595 1.251087 -0.633667 -0.8 3.4 1.7
C -4.585710 0.995565 -0.347059 -0.2 1.2 0.9
C -3.840725 1.688321 0.646609 -1.4 -1.5 -0.6
C -2.597807 1.200687 0.894636 -0.2 0.0 -0.6
N -1.981682 0.205196 0.227631 0.2 0.5 0.1
C -2.708912 -0.370742 -0.724890 0.9 0.2 0.4
Br -1.823582 -1.744052 -1.636256 -0.1 -0.4 -0.2
C -3.980422 -0.013542 -1.044014 0.7 -0.6 -0.2
H -6.128426 2.161780 -0.151898 0.6 -3.1 -1.6
H -4.349510 2.340729 1.345146 0.3 0.4 -0.2
H -2.072222 1.662521 1.660826 1.2 0.5 1.3
H -4.448000 -0.549490 -1.812219 -0.9 -0.5 -0.9
Cl 0.825277 2.449525 0.882089 0.0 0.1 -0.2
C 0.577275 1.204952 2.175379 -1.7 0.4 0.4
H -0.139271 1.662241 2.938605 1.2 -0.8 -1.0
H 1.538498 0.936271 2.564651 0.4 0.1 0.4
N 1.683686 -1.647313 -1.915231 -3.0 0.3 -1.2
C 2.432348 -1.175877 -0.951796 -0.3 0.8 0.1
O 1.927392 -0.495823 -0.030513 0.0 -0.1 0.4
C 3.859940 -1.460258 -1.043412 0.6 -1.5 0.0
C 4.264751 -2.561206 -1.981485 -0.1 2.4 1.6
N 4.690234 -3.299385 -2.741894 0.0 -0.7 -0.5
C 4.720957 -0.968691 -0.157355 0.6 0.0 -0.2
N 4.873317 -0.092799 0.810434 -1.1 -0.9 -3.6
H 0.649033 -1.358361 -1.873816 2.3 -0.8 -0.4
H 2.059430 -1.954752 -2.809484 -0.1 -0.1 0.4
O 5.262040 0.043744 3.082584 0.4 0.0 2.8
C 5.071119 -0.127873 1.984262 0.2 0.5 0.5


[2]
34
Properties=species:S:1:pos:R:3:forces:R:3 method="wB97M-V/def2-TZVPD" de_lowest_kj_mol=0.0 gap_ev=6.67 total_energy_ev=-50250.585 largest_force_ha_per_bohr=0.11107
C -1.890035 -2.883374 -0.743436 -0.3 -0.2 0.0
C -0.410329 -2.868370 -0.767641 0.4 0.1 0.0
N 0.343768 -1.785287 -0.671386 -1.3 -0.4 -0.1
C 1.617581 -2.219194 -0.713963 1.2 -1.1 -0.1
C 1.657748 -3.588903 -0.838130 1.2 0.7 0.1
N 0.363322 -4.007156 -0.875192 -0.9 0.3 0.1
H -2.288882 -1.870863 -0.775348 0.1 -0.1 0.0
H -2.283606 -3.427643 -1.601455 -0.1 0.0 0.0
H -2.257359 -3.366600 0.162266 -0.1 0.0 0.0
H 2.477048 -1.564353 -0.657840 -0.2 0.0 0.0
H 2.534480 -4.218358 -0.891687 -0.3 -0.2 0.0
H 0.022122 -4.969708 -0.950858 0.3 0.8 0.1
O 0.289449 0.036206 3.358743 -3.7 0.8 -1.4
S -0.900685 0.296120 2.479956 2.6 -3.3 -2.1
O -1.828560 -0.774038 1.976725 1.8 2.8 2.1
C -1.807486 1.850930 2.918810 -0.2 -0.6 0.7
F -2.468884 1.651138 4.061446 0.1 0.6 -0.6
F -0.894258 2.815969 3.041264 -0.7 -0.2 0.1
F -2.639280 2.113474 1.909231 0.2 0.2 0.7
C -0.191814 1.009666 0.987788 -0.8 -0.4 -0.3
C -0.876365 0.884938 -0.185935 -0.9 -0.7 -0.1
C -0.319715 1.471530 -1.321500 1.0 1.1 -1.8
N -0.668479 1.594182 -2.651526 -4.7 -3.0 1.1
O -1.730318 1.110253 -3.114321 1.7 1.0 -0.4
O 0.228437 2.284430 -3.376315 -1.4 -1.1 1.3
N 1.171098 2.627709 -2.525306 3.1 1.3 2.1
C 0.882013 2.163112 -1.289207 1.1 1.1 -2.1
C 1.582904 2.273256 -0.057570 -0.3 -0.3 0.6
N 2.827699 2.999734 0.062276 2.3 1.2 0.0
O 3.334233 3.506349 -0.952121 -1.3 -1.0 1.3
O 3.351378 3.085439 1.182519 -1.0 -0.3 -1.2
C 1.028367 1.684033 1.054488 1.2 0.8 -0.2
H -1.801587 0.329642 -0.239224 0.0 0.1 0.0
H 1.545979 1.755753 2.004442 0.0 0.0 -0.1
........

-- To do --
Please copy everything above with every line break kept.

-- Written answer --
[1]
29
Properties=species:S:1:pos:R:3:forces:R:3 method="wB97M-V/def2-TZVPD" de_lowest_kj_mol=127.1 charge=+1 s2=6.022 gap_ev="8.30 / 8.69" total_energy_ev=-143821.589 largest_force_ha_per_bohr=0.07506 spin_multiplicity=5
Co 0.079565 0.017546 0.642137 0.0 0.0 0.4
O -5.858595 1.251087 -0.633667 -0.8 3.4 1.7
C -4.585710 0.995565 -0.347059 -0.2 1.2 0.9
C -3.840725 1.688321 0.646609 -1.4 -1.5 -0.6
C -2.597807 1.200687 0.894636 -0.2 0.0 -0.6
N -1.981682 0.205196 0.227631 0.2 0.5 0.1
C -2.708912 -0.370742 -0.724890 0.9 0.2 0.4
Br -1.823582 -1.744052 -1.636256 -0.1 -0.4 -0.2
C -3.980422 -0.013542 -1.044014 0.7 -0.6 -0.2
H -6.128426 2.161780 -0.151898 0.6 -3.1 -1.6
H -4.349510 2.340729 1.345146 0.3 0.4 -0.2
H -2.072222 1.662521 1.660826 1.2 0.5 1.3
H -4.448000 -0.549490 -1.812219 -0.9 -0.5 -0.9
Cl 0.825277 2.449525 0.882089 0.0 0.1 -0.2
C 0.577275 1.204952 2.175379 -1.7 0.4 0.4
H -0.139271 1.662241 2.938605 1.2 -0.8 -1.0
H 1.538498 0.936271 2.564651 0.4 0.1 0.4
N 1.683686 -1.647313 -1.915231 -3.0 0.3 -1.2
C 2.432348 -1.175877 -0.951796 -0.3 0.8 0.1
O 1.927392 -0.495823 -0.030513 0.0 -0.1 0.4
C 3.859940 -1.460258 -1.043412 0.6 -1.5 0.0
C 4.264751 -2.561206 -1.981485 -0.1 2.4 1.6
N 4.690234 -3.299385 -2.741894 0.0 -0.7 -0.5
C 4.720957 -0.968691 -0.157355 0.6 0.0 -0.2
N 4.873317 -0.092799 0.810434 -1.1 -0.9 -3.6
H 0.649033 -1.358361 -1.873816 2.3 -0.8 -0.4
H 2.059430 -1.954752 -2.809484 -0.1 -0.1 0.4
O 5.262040 0.043744 3.082584 0.4 0.0 2.8
C 5.071119 -0.127873 1.984262 0.2 0.5 0.5


[2]
34
Properties=species:S:1:pos:R:3:forces:R:3 method="wB97M-V/def2-TZVPD" de_lowest_kj_mol=0.0 gap_ev=6.67 total_energy_ev=-50250.585 largest_force_ha_per_bohr=0.11107
C -1.890035 -2.883374 -0.743436 -0.3 -0.2 0.0
C -0.410329 -2.868370 -0.767641 0.4 0.1 0.0
N 0.343768 -1.785287 -0.671386 -1.3 -0.4 -0.1
C 1.617581 -2.219194 -0.713963 1.2 -1.1 -0.1
C 1.657748 -3.588903 -0.838130 1.2 0.7 0.1
N 0.363322 -4.007156 -0.875192 -0.9 0.3 0.1
H -2.288882 -1.870863 -0.775348 0.1 -0.1 0.0
H -2.283606 -3.427643 -1.601455 -0.1 0.0 0.0
H -2.257359 -3.366600 0.162266 -0.1 0.0 0.0
H 2.477048 -1.564353 -0.657840 -0.2 0.0 0.0
H 2.534480 -4.218358 -0.891687 -0.3 -0.2 0.0
H 0.022122 -4.969708 -0.950858 0.3 0.8 0.1
O 0.289449 0.036206 3.358743 -3.7 0.8 -1.4
S -0.900685 0.296120 2.479956 2.6 -3.3 -2.1
O -1.828560 -0.774038 1.976725 1.8 2.8 2.1
C -1.807486 1.850930 2.918810 -0.2 -0.6 0.7
F -2.468884 1.651138 4.061446 0.1 0.6 -0.6
F -0.894258 2.815969 3.041264 -0.7 -0.2 0.1
F -2.639280 2.113474 1.909231 0.2 0.2 0.7
C -0.191814 1.009666 0.987788 -0.8 -0.4 -0.3
C -0.876365 0.884938 -0.185935 -0.9 -0.7 -0.1
C -0.319715 1.471530 -1.321500 1.0 1.1 -1.8
N -0.668479 1.594182 -2.651526 -4.7 -3.0 1.1
O -1.730318 1.110253 -3.114321 1.7 1.0 -0.4
O 0.228437 2.284430 -3.376315 -1.4 -1.1 1.3
N 1.171098 2.627709 -2.525306 3.1 1.3 2.1
C 0.882013 2.163112 -1.289207 1.1 1.1 -2.1
C 1.582904 2.273256 -0.057570 -0.3 -0.3 0.6
N 2.827699 2.999734 0.062276 2.3 1.2 0.0
O 3.334233 3.506349 -0.952121 -1.3 -1.0 1.3
O 3.351378 3.085439 1.182519 -1.0 -0.3 -1.2
C 1.028367 1.684033 1.054488 1.2 0.8 -0.2
H -1.801587 0.329642 -0.239224 0.0 0.1 0.0
H 1.545979 1.755753 2.004442 0.0 0.0 -0.1